Set down the lines further down up to the one that holds "-0.70847", that line included.
-- begin --
Entry 1:
ORCA calculation (ωB97M-V/def2-TZVPD) on a structure of composition C36H30F2ILaN8O11S2 at a distorted geometry.

Geometry as ORCA input:
```
! RIJCOSX wB97M-V def2-TZVPD def2/J DEFGRID3
* xyz -2 1
La -0.00010 0.01718 0.56225
N 1.31906 -3.87066 -2.06507
C 0.54715 -3.07061 -1.26059
S 1.06634 -2.86038 0.34872
N -0.54012 -2.62597 -1.89203
N -1.18927 -1.59784 -1.29593
C -2.44727 -1.47670 -1.56773
C -3.23635 -2.48063 -2.32715
C -2.91702 -2.84004 -3.63339
C -3.68932 -3.76551 -4.31260
C -4.78028 -4.36021 -3.69362
C -5.09683 -4.01769 -2.38807
C -4.33160 -3.08007 -1.71282
C -3.19784 -0.30404 -1.03970
C -4.41784 0.07274 -1.61519
C -5.09263 1.16921 -1.10959
C -4.55267 1.86161 -0.03509
C -3.33233 1.43520 0.46621
N -2.67392 0.39945 -0.02952
H 1.98208 -4.47037 -1.61170
H 0.90142 -4.16730 -2.93110
H -2.05526 -2.39155 -4.10475
H -3.43044 -4.03161 -5.32987
H -5.37482 -5.09260 -4.22444
H -5.93778 -4.48294 -1.88836
H -4.57102 -2.81670 -0.69088
H -4.81607 -0.48421 -2.45042
H -6.03208 1.47853 -1.55315
H -5.05014 2.71952 0.39972
H -2.83853 1.94148 1.28879
O 3.80668 1.24342 2.13064
C 3.16492 0.53745 1.35616
O 2.03039 0.01381 1.61283
C 3.78534 0.23532 -0.00898
C 5.15349 0.19961 -0.02307
C 5.86461 -0.01742 -1.21210
C 5.20696 -0.13303 -2.41448
C 3.82588 -0.07728 -2.43013
C 3.01374 0.03197 -1.23255
O 1.76173 -0.03244 -1.24493
N 3.23750 -0.17719 -3.75962
O 2.02754 -0.13728 -3.90034
O 3.99963 -0.27091 -4.71980
N 7.30488 -0.08928 -1.19349
O 7.90258 -0.21618 -2.25897
O 7.87827 -0.01724 -0.11448
H 5.68087 0.36916 0.90423
H 5.75154 -0.26132 -3.33594
F -2.08552 -2.01421 1.78930
C -1.26020 -1.08578 2.48782
F -2.22994 -0.11842 2.97629
H -1.00427 -1.62133 3.41976
C -6.20082 5.07291 3.38369
C -4.95239 4.50330 3.99268
C -4.26847 5.17978 4.99162
C -3.10321 4.65902 5.53773
C -2.61874 3.45048 5.07969
C -3.28383 2.75417 4.07234
C -4.44648 3.28395 3.54454
S -1.14456 2.74243 5.78535
O -0.60170 3.75111 6.65917
O -1.49843 1.44313 6.28064
N -0.10858 2.52887 4.55777
C 0.38355 3.71634 3.88044
C 1.30192 3.33037 2.75008
C 0.57285 2.61759 1.64282
O 1.08693 2.52765 0.51526
O -0.55516 2.07857 1.91303
H -6.59072 5.89936 3.97716
H -6.98042 4.31519 3.30251
H -6.00765 5.44789 2.37642
H -4.64933 6.12806 5.35079
H -2.56529 5.18455 6.31176
H -2.90594 1.81159 3.70420
H -4.97099 2.73232 2.77111
H -0.41554 1.79931 3.91006
H 0.92262 4.32192 4.61252
H -0.46408 4.31068 3.50251
H 2.12710 2.68124 3.06662
H 1.76885 4.22780 2.33455
I -0.76372 1.03377 -5.93924
C -0.90781 1.90110 -4.05478
C -1.35186 3.20363 -3.90894
C -1.45138 3.72210 -2.62890
C -1.12150 2.91151 -1.55728
N -0.70540 1.65968 -1.70485
C -0.57420 1.16273 -2.92701
H -1.61040 3.79602 -4.77646
H -1.78170 4.73770 -2.46042
H -1.18242 3.26589 -0.53604
H -0.18263 0.15798 -2.99980
*
```

Its max |F| is 1.5 eV/Å. The value obtained for the LUMO energy is 3.32 eV. The calculation puts the energy at -108330.67890 eV.

These are the Mulliken partial charges, in e, on atoms 1 to 2: La 1.78; N -0.42

***

Entry 2:
ORCA calculation (ωB97M-V/def2-TZVPD) on a structure of composition C23H70N4O12 at a distorted geometry.

Geometry as ORCA input:
```
! RIJCOSX wB97M-V def2-TZVPD def2/J DEFGRID3
* xyz 0 1
O 2.79867 -1.99151 2.72287
H 3.34191 -1.33912 3.16502
H 2.81538 -1.73301 1.80139
O 2.78134 -3.43767 0.77420
H 2.59934 -2.52542 0.54859
H 2.74358 -3.46055 1.73038
O 2.90127 -0.92327 0.89838
H 3.73383 -0.89851 0.42671
H 2.29119 -0.44911 0.33340
C -0.62376 -4.15926 1.01420
O -0.94363 -5.09449 0.30685
N 0.51280 -3.56456 1.13415
N -1.47866 -3.62424 1.83752
H 0.58718 -2.83540 1.82906
H 1.29179 -3.80619 0.53842
H -1.05754 -3.00440 2.51469
H -2.28707 -4.19757 2.03211
C 2.92910 2.23700 -0.42646
O 3.86785 2.94847 -0.70847
N 2.81469 1.70493 0.74240
N 1.87527 2.05345 -1.19494
H 3.43374 2.12403 1.42156
H 2.10528 1.08828 1.11197
H 1.85664 2.68059 -1.98642
H 1.33888 1.21549 -1.02113
C -0.89641 3.25592 -1.17354
C -0.49312 3.30964 0.29195
C 0.66517 4.24375 0.81943
O -1.63145 3.87884 0.90525
H -0.02816 3.17381 -1.82738
H -1.34398 4.22533 -1.39272
-- stop --
Entry 1:
ORCA calculation (ωB97M-V/def2-TZVPD) on a structure of composition C36H30F2ILaN8O11S2 at a distorted geometry.

Geometry as ORCA input:
```
! RIJCOSX wB97M-V def2-TZVPD def2/J DEFGRID3
* xyz -2 1
La -0.00010 0.01718 0.56225
N 1.31906 -3.87066 -2.06507
C 0.54715 -3.07061 -1.26059
S 1.06634 -2.86038 0.34872
N -0.54012 -2.62597 -1.89203
N -1.18927 -1.59784 -1.29593
C -2.44727 -1.47670 -1.56773
C -3.23635 -2.48063 -2.32715
C -2.91702 -2.84004 -3.63339
C -3.68932 -3.76551 -4.31260
C -4.78028 -4.36021 -3.69362
C -5.09683 -4.01769 -2.38807
C -4.33160 -3.08007 -1.71282
C -3.19784 -0.30404 -1.03970
C -4.41784 0.07274 -1.61519
C -5.09263 1.16921 -1.10959
C -4.55267 1.86161 -0.03509
C -3.33233 1.43520 0.46621
N -2.67392 0.39945 -0.02952
H 1.98208 -4.47037 -1.61170
H 0.90142 -4.16730 -2.93110
H -2.05526 -2.39155 -4.10475
H -3.43044 -4.03161 -5.32987
H -5.37482 -5.09260 -4.22444
H -5.93778 -4.48294 -1.88836
H -4.57102 -2.81670 -0.69088
H -4.81607 -0.48421 -2.45042
H -6.03208 1.47853 -1.55315
H -5.05014 2.71952 0.39972
H -2.83853 1.94148 1.28879
O 3.80668 1.24342 2.13064
C 3.16492 0.53745 1.35616
O 2.03039 0.01381 1.61283
C 3.78534 0.23532 -0.00898
C 5.15349 0.19961 -0.02307
C 5.86461 -0.01742 -1.21210
C 5.20696 -0.13303 -2.41448
C 3.82588 -0.07728 -2.43013
C 3.01374 0.03197 -1.23255
O 1.76173 -0.03244 -1.24493
N 3.23750 -0.17719 -3.75962
O 2.02754 -0.13728 -3.90034
O 3.99963 -0.27091 -4.71980
N 7.30488 -0.08928 -1.19349
O 7.90258 -0.21618 -2.25897
O 7.87827 -0.01724 -0.11448
H 5.68087 0.36916 0.90423
H 5.75154 -0.26132 -3.33594
F -2.08552 -2.01421 1.78930
C -1.26020 -1.08578 2.48782
F -2.22994 -0.11842 2.97629
H -1.00427 -1.62133 3.41976
C -6.20082 5.07291 3.38369
C -4.95239 4.50330 3.99268
C -4.26847 5.17978 4.99162
C -3.10321 4.65902 5.53773
C -2.61874 3.45048 5.07969
C -3.28383 2.75417 4.07234
C -4.44648 3.28395 3.54454
S -1.14456 2.74243 5.78535
O -0.60170 3.75111 6.65917
O -1.49843 1.44313 6.28064
N -0.10858 2.52887 4.55777
C 0.38355 3.71634 3.88044
C 1.30192 3.33037 2.75008
C 0.57285 2.61759 1.64282
O 1.08693 2.52765 0.51526
O -0.55516 2.07857 1.91303
H -6.59072 5.89936 3.97716
H -6.98042 4.31519 3.30251
H -6.00765 5.44789 2.37642
H -4.64933 6.12806 5.35079
H -2.56529 5.18455 6.31176
H -2.90594 1.81159 3.70420
H -4.97099 2.73232 2.77111
H -0.41554 1.79931 3.91006
H 0.92262 4.32192 4.61252
H -0.46408 4.31068 3.50251
H 2.12710 2.68124 3.06662
H 1.76885 4.22780 2.33455
I -0.76372 1.03377 -5.93924
C -0.90781 1.90110 -4.05478
C -1.35186 3.20363 -3.90894
C -1.45138 3.72210 -2.62890
C -1.12150 2.91151 -1.55728
N -0.70540 1.65968 -1.70485
C -0.57420 1.16273 -2.92701
H -1.61040 3.79602 -4.77646
H -1.78170 4.73770 -2.46042
H -1.18242 3.26589 -0.53604
H -0.18263 0.15798 -2.99980
*
```

Its max |F| is 1.5 eV/Å. The value obtained for the LUMO energy is 3.32 eV. The calculation puts the energy at -108330.67890 eV.

These are the Mulliken partial charges, in e, on atoms 1 to 2: La 1.78; N -0.42

***

Entry 2:
ORCA calculation (ωB97M-V/def2-TZVPD) on a structure of composition C23H70N4O12 at a distorted geometry.

Geometry as ORCA input:
```
! RIJCOSX wB97M-V def2-TZVPD def2/J DEFGRID3
* xyz 0 1
O 2.79867 -1.99151 2.72287
H 3.34191 -1.33912 3.16502
H 2.81538 -1.73301 1.80139
O 2.78134 -3.43767 0.77420
H 2.59934 -2.52542 0.54859
H 2.74358 -3.46055 1.73038
O 2.90127 -0.92327 0.89838
H 3.73383 -0.89851 0.42671
H 2.29119 -0.44911 0.33340
C -0.62376 -4.15926 1.01420
O -0.94363 -5.09449 0.30685
N 0.51280 -3.56456 1.13415
N -1.47866 -3.62424 1.83752
H 0.58718 -2.83540 1.82906
H 1.29179 -3.80619 0.53842
H -1.05754 -3.00440 2.51469
H -2.28707 -4.19757 2.03211
C 2.92910 2.23700 -0.42646
O 3.86785 2.94847 -0.70847